To do:
Please restate every line further below that contains the word "e_lumo_ev".
Entries:
____________
(1)
67
Properties=species:S:1:pos:R:3:forces:R:3 method="wB97M-V/def2-TZVPD" e_tot_ha=-3492.417833 orbital_gap_ev=7.32 relative_energy_kj_mol=40.9 e_lumo_ev=0.19
K 0.100452 0.301049 -0.692267 0.12 0.32 0.60
C 3.178432 1.956010 1.134014 -0.47 -1.11 0.78
O 2.644510 3.172879 1.676397 -0.42 0.43 -0.27
O 2.286215 1.339766 0.415046 -0.59 -0.25 -1.18
C 4.483210 2.288775 0.391416 0.40 0.43 0.20
F 4.358884 3.312169 -0.478486 0.11 -0.33 0.18
F 5.461908 2.641920 1.288463 -0.13 -0.10 -0.51
F 4.985505 1.238881 -0.296139 -0.13 0.13 0.08
C 3.292062 3.854974 2.719923 0.41 -0.35 -0.17
C 2.421473 5.004213 3.151745 0.26 0.74 0.15
H 2.518493 5.868993 2.490705 -0.04 -0.18 -0.20
H 1.364708 4.745624 3.188717 0.02 -0.17 0.17
H 2.775495 5.355892 4.125501 -0.26 -0.06 0.08
H 4.267002 4.215576 2.375464 -0.04 0.14 0.24
H 3.485599 3.188623 3.576599 -0.06 -0.11 -0.11
H 3.461788 1.293375 1.995263 0.59 0.48 0.21
C 0.761302 1.357705 3.371668 0.19 -0.79 -0.57
O -0.546635 0.800556 3.679190 -0.26 0.16 0.24
P -1.765224 1.411695 2.884797 0.67 0.29 0.08
O -1.666437 1.230238 1.437773 -0.06 0.06 -0.37
O -3.032597 0.773438 3.578110 0.05 0.11 -0.13
C -3.717561 -0.294779 2.946791 -0.90 -0.97 -0.09
O -1.814245 2.935749 3.335306 -0.15 -0.37 -0.21
C -2.674551 3.421852 4.347428 -0.51 0.81 0.52
H 1.375961 1.193797 4.249762 -0.05 0.39 0.17
H 0.700852 2.384858 3.022855 0.04 0.11 0.36
H 1.204335 0.790773 2.548212 -0.14 0.07 -0.01
H -3.473612 -1.239910 3.436602 0.21 0.10 -0.02
H -3.542220 -0.395379 1.875042 0.45 0.30 0.06
H -4.796327 -0.161285 3.067894 0.14 0.30 0.18
H -2.216222 4.294351 4.815169 0.27 -0.14 -0.12
H -2.904494 2.705687 5.133686 0.15 -0.22 -0.13
H -3.615108 3.784811 3.923622 0.04 -0.26 -0.16
C -4.883670 -1.959824 -3.603419 -0.92 0.08 -0.32
O -4.106707 -1.148156 -2.728087 0.02 0.41 -0.30
P -3.356204 -1.832093 -1.519199 0.74 -0.38 0.57
O -2.419165 -0.936569 -0.839803 0.03 0.31 -0.44
O -2.748047 -3.171434 -2.078585 0.20 -0.25 -0.23
C -1.595352 -3.142566 -2.948868 -0.05 0.09 0.13
O -4.445802 -2.456320 -0.567661 -0.47 -0.12 -0.25
C -5.624138 -1.706957 -0.277692 -0.24 0.46 0.46
H -5.466484 -1.339126 -4.286654 0.32 0.41 0.22
H -5.633957 -2.502279 -3.025088 0.28 -0.42 -0.10
H -4.271189 -2.599397 -4.233413 0.12 -0.25 0.31
H -0.857165 -3.843936 -2.570554 -0.07 -0.06 0.07
H -1.136522 -2.155662 -2.969924 -0.03 0.02 -0.03
H -1.907491 -3.446809 -3.946236 -0.01 0.04 -0.01
H -6.445409 -1.973385 -0.943070 0.10 -0.14 -0.03
H -5.463818 -0.627194 -0.341046 0.14 -0.09 -0.09
H -5.906995 -1.924147 0.750451 -0.01 -0.15 -0.06
C 2.197805 -1.037460 -5.206101 0.54 1.00 0.15
O 1.721389 -2.129443 -4.437516 -0.15 -0.49 -0.05
P 2.123652 -2.372938 -2.938123 0.99 0.55 -0.52
O 1.299841 -1.696089 -1.941700 -0.48 0.28 0.44
O 3.661961 -1.996591 -2.891575 -0.27 0.19 0.21
C 4.159970 -1.150126 -1.839065 0.38 0.73 0.38
O 2.100751 -3.928973 -2.881487 -0.32 -0.87 -0.47
C 2.358798 -4.578392 -1.641455 0.25 0.32 0.86
H 3.039934 -0.515922 -4.740304 0.01 -0.36 0.19
H 1.429799 -0.269404 -5.296679 -0.24 -0.30 -0.28
H 2.558465 -1.395084 -6.165211 -0.33 -0.11 -0.11
H 3.404750 -0.480312 -1.425554 -0.19 -0.32 0.08
H 4.931510 -0.485635 -2.225154 0.05 -0.30 -0.34
H 4.604887 -1.759064 -1.053936 -0.13 -0.05 0.01
H 2.989163 -5.449209 -1.791801 -0.12 -0.06 -0.32
H 1.427794 -4.855330 -1.149758 -0.06 -0.06 -0.16
H 2.894695 -3.907049 -0.961998 -0.04 -0.06 -0.04



(2)
24
Properties=species:S:1:pos:R:3:forces:R:3 method="wB97M-V/def2-TZVPD" e_tot_ha=-1089.371473 orbital_gap_ev=7.89 relative_energy_kj_mol=209.4 e_lumo_ev=-0.18
C -3.324343 0.344452 1.093706 1.57 -0.78 3.03
C -2.141729 -0.072018 1.626944 0.92 0.99 -0.59
C -3.535107 0.394480 -0.293630 0.02 0.90 -0.26
C -0.922732 -0.317441 0.702827 0.40 -1.86 1.34
C -2.520978 0.273856 -1.146644 -2.31 0.23 -3.07
C -1.214933 -0.052389 -0.708114 1.23 -0.60 -3.17
C -0.297230 -0.146014 -1.709784 0.57 -1.15 2.19
C 3.631162 -0.042664 0.061206 -0.84 -1.83 1.46
C 2.325386 0.578749 0.321591 0.64 0.47 1.10
N 1.440381 -0.138729 0.946510 0.66 0.30 -1.98
____________
Done:
Properties=species:S:1:pos:R:3:forces:R:3 method="wB97M-V/def2-TZVPD" e_tot_ha=-3492.417833 orbital_gap_ev=7.32 relative_energy_kj_mol=40.9 e_lumo_ev=0.19
Properties=species:S:1:pos:R:3:forces:R:3 method="wB97M-V/def2-TZVPD" e_tot_ha=-1089.371473 orbital_gap_ev=7.89 relative_energy_kj_mol=209.4 e_lumo_ev=-0.18